An eventful little week this was, but mostly because Apple grabbed the spotlight in various different ways. For the rest, we focussed on Microsoft’s proposed browser ballot screen, we took a look at KDE 4.3RC3, and Microsoft and Yahoo finally got to do their thing.
Let’s start with the browser ballot screen. Microsoft’s proposal for the ballot screen was ridiculously detailed: the ten most popular browsers in Europe with a share higher than 0.5%, the top five browsers get prominence. Microsoft also said that Windows XP and Windows Vista users will get the browser ballot too. Opera suggested that it might be a good idea if Mac OS X and Ubuntu included a ballot screen too.
Apple got a lot of negative attention this week when it removed all the Google Voice applications from its App Store, while also rejecting Google’s official client, with the company citing it usual bogus reason that they duplicated functionality. A lot of people were upset, and so is the FCC: they have started an investigation into the matter. The fallout was also felt on OSNews when our owner David Adams detailed his views on the matter.
Apple got more negative headlines with its filing to the US Copyright Office. This filing detailed Apple’s reasons why jailbreaking iPhones should remain illegal, and it was rather nonsencical and completely over the top; in other words, a classic case of ‘fear, uncertainty, and doubt’ most of us were able to punch through in a heartbeat. Hopefully, the US Copyright Office will too, but I’m not keeping my hopes up.
What comes next are records of crystals, not part of the text:
- - -
PBE-GGA CePuSiGe, optimized geometry; E above lowest polymorph = 0.000 eV/atom; formation energy without anion corrections = -155 kJ/mol of formula units
1.0
4.1661 0.0000 0.0000
0.0000 4.1661 0.0000
0.0000 0.0000 10.7356
Ce Pu Si Ge
2 2 2 2
Direct
0.2500 0.2500 0.1802 Ce
0.7500 0.7500 0.8198 Ce
0.2500 0.7500 0.5000 Pu
0.7500 0.2500 0.5000 Pu
0.2500 0.2500 0.6941 Si
0.7500 0.7500 0.3059 Si
0.2500 0.2500 0.9132 Ge
0.7500 0.7500 0.0868 Ge

----------

# 1
The following is a DFT calculation (SCAN) of Ba4ReAu at its PBEsol-relaxed geometry.

Results
Total magnetization: 7.47 μB per cell
Energy relative to the elements: 1.25 eV/atom
Crystal system: cubic
Density of states at the Fermi level: 0.8839 states/eV/atom

Cell lengths 9.336, 9.336, 9.336 Å; angles 90.00, 90.00, 90.00 degrees
Space group F-43m (No. 216)
One atom of each set of equivalent atoms:
Ba 0.125 0.125 0.125 [16 per cell]
Re 0.250 0.250 0.750 [4 per cell]
Au 0.000 0.000 0.500 [4 per cell]

# 2
The following is a DFT calculation (SCAN) of Ba2ReAu at its PBEsol-relaxed geometry.

Results
ΔE to the lowest computed polymorph: 360.8 meV per atom
Total magnetization: 0.00 μB per cell
Energy relative to the elements: 0.79 eV/atom
Crystal system: orthorhombic
Density of states at the Fermi level: 0.8878 states/eV/atom

Cell lengths 3.111, 5.777, 6.187 Å; angles 90.00, 90.00, 90.00 degrees
Space group Pmm2 (No. 25)
One atom of each set of equivalent atoms:
Ba 0.000 0.000 0.000 [1 per cell]
Ba 0.500 0.500 0.497 [1 per cell]
- - -
Earlier on in the week, we talked about KDE 4.3’s latest test release, release candidate 3. I installed Fedora 11, the KDE version, and upgraded to KDE 4.3RC3. I was pleasantly surprised by what I found; this is shaping up to be a very nice KDE release.
We also finally got the news that Yahoo and Microsoft will be cooperating in the online search and advertising business. Few OSNews readers seemed particularly shaken by the news – one way or the other – but at least it put a stop to the endless stream of “are-they-going-to-or-not” articles.
1.Apple should be able to do what they want with their own device.
2. I don’t agree with their FUD tactics and i’m glad it was called out right away. I think 1984 days of bad press for Apple was the dumbest thing ever. Just a fanboy that hadn’t gotten his way. Get over it or buy another device.
3. The MS and Yahoo! deal will be a fail. It’s not a matter of quantity, but quality and marketing which works for Google. Not to mention they took over the world with a search engine. Know your role vs such an opponent.
4. While everyone else feels it’s about time the FCC stepped in, i really feel it was only a matter of “WHO” they stepped in for. If it wasn’t a Google app, the FCC wouldn’t budge. But competitor to competitor, something ain’t right.
5. The browser ballot screen idea and situation is asinine. There should be a clause that it only exist until Opera goes bankrupt.
6. I like OSNews. It’s currently my only source of tech news because i am too lazy to google for more and then i’d have to bookmark them. I thought technology was for ease and convenience. I should find an easier way to bookmark a site.
I agree that Apple should be able to do what they want with their device, but once it’s out of their hands it’s not their device any longer
That’s where you all are wrong. You buy a device that relies on a service via an App and Store provided by the company. Without the company support it’s a throw away of the $600 you spent on it.
Would you buy it ? No. Logically, if they provide a service as they do to make you buy it, then it’s common sense that you are leasing it to use the service because it’s the only device that can. i dont buy the whole “they should” or ” Apple isn’t fair”.
Anyone complaining about it gets what they deserve and i dont care about the opinions of those wanting to “force” Apple to do something just cuz they dont think it’s “fair”.
All this press is because ppl forgot they bought a phone first. If it can make a call you got your money’s worth. Move On.
Not if they break the law. If I own a knife and stab someone in the back, I won’t be able to keep doing it “because I should be able to do what I want with my own knife”.
What does Opera have to do with anything? The ballot screen was decided on by the EC, and Microsoft followed up with a suggestion.
These calculated crystals were left in the article by mistake =
____________
Material: SrSm2Tl2
Method: DFT, PBE
State: relaxed

a = 3.854 Å, b = 22.632 Å, c = 3.829 Å
α = 90.00°, β = 90.00°, γ = 90.00°
Space group Cmmm (No. 65)
Inequivalent atoms, fractional coordinates:
1 Sr 0.000 0.000 0.000 [2 per cell]
2 Sm 0.000 0.181 0.000 [4 per cell]
3 Tl 0.000 0.400 0.500 [4 per cell]
____________
The calculated crystals stop here =
Opera is just an interested third party, just like Google and Mozilla.
So why are you whining like a little crybaby about Opera?
BTW, Opera isn’t going bankrupt any time soon. They are seeing massive growth all over the place, including desktop.
You can try rekonq which is a KDE/WebKit browser you install alongside Konquerer. (i havent used this)
Or just use Arora which is a QT/Webkit browser that aims to be super lean.
Thom knows by now that this is a blatant lie. Opera never suggested anything of the sorts.
It was a JOURNALIST who suggested it, and Howcome merely stated that it MAY be a good idea. Again: He said that the journalist’s idea MAY be a good one.
But facts don’t matter to some people who are more concerned about page hits than facts…
Thom knows by now that this is a blatant lie. Opera never suggested anything of the sorts.
It was a JOURNALIST who suggested it, and Howcome merely stated that it MAY be a good idea. Again: He said that the journalist’s idea MAY be a good one.
But facts don’t matter to some people who are more concerned about page hits than facts…